
A perfect way to gain more exposure for your book if you list your book on amazon. Develop a broad readership that come from all walks of life. Great for new and established authors.

IWBT Magazines come out the 1st of every month. Bi-weekly trailers come out the 1st and 15th of every month. If your book falls within these dates they can be featured. This is an additional cost

Records of crystals from another source follow
<<<
The following is a DFT calculation (PBE) of a relaxed structure of AcCd2RuO6.

a b c (Å): 5.964 5.964 4.948
angles (deg): 90.00 90.00 90.00
Element x y z (fractional)
Ac: 0.000 0.000 0.000
Cd: 0.000 0.500 0.366
Cd: 0.500 0.000 0.366
Ru: 0.500 0.500 0.027
O: 0.000 0.000 0.524
O: 0.283 0.283 0.153
O: 0.283 0.717 0.153
O: 0.500 0.500 0.678
O: 0.717 0.283 0.153
O: 0.717 0.717 0.153

Properties
* raw total energy: -58.0 eV for the cell shown
* size of the total moment: 0.681 μB/cell
* formation energy without anion corrections: -1.30 eV per atom
* volume: 17.6 A^3/atom

=====

The following is a DFT calculation (PBE) of a relaxed structure of AcCd2Ru2O7.

a b c (Å): 9.782 9.782 9.782
angles (deg): 157.39 35.95 152.42
Element x y z (fractional)
Ac: 0.000 0.000 0.000
Cd: 0.171 0.455 0.716
Cd: 0.738 0.455 0.284
Ru: 0.406 0.010 0.396
Ru: 0.615 0.010 0.604
O: 0.170 0.577 0.593
O: 0.230 0.947 0.283
O: 0.438 0.540 0.897
O: 0.630 0.130 0.500
O: 0.643 0.540 0.103
O: 0.664 0.947 0.717
O: 0.984 0.577 0.407

Properties
* raw total energy: -75.5 eV for the cell shown
* size of the total moment: 0.317 μB/cell
* formation energy without anion corrections: -1.36 eV per atom
* volume: 13.9 A^3/atom

=====

The following is a DFT calculation (PBE) of a relaxed structure of Ac2CdSO8.

a b c (Å): 5.478 5.478 6.355
angles (deg): 90.00 90.00 120.00
Element x y z (fractional)
Ac: 0.333 0.667 0.332
Ac: 0.667 0.333 0.668
Cd: 0.000 0.000 0.000
S: 0.000 0.000 0.500
O: 0.145 0.291 0.655
O: 0.145 0.855 0.655
O: 0.291 0.145 0.345
O: 0.333 0.667 0.989
O: 0.667 0.333 0.011
O: 0.709 0.855 0.655
O: 0.855 0.145 0.345
O: 0.855 0.709 0.345

Properties
* raw total energy: -71.8 eV for the cell shown
* size of the total moment: 2.005 μB/cell
* formation energy without anion corrections: -1.57 eV per atom
* volume: 13.8 A^3/atom

=====

The following is a DFT calculation (PBE) of a relaxed structure of Ac2ScCdO6.

a b c (Å): 5.893 6.119 10.219
angles (deg): 90.00 124.89 90.00
Element x y z (fractional)
Ac: 0.235 0.055 0.248
Ac: 0.235 0.445 0.748
Ac: 0.765 0.555 0.252
Ac: 0.765 0.945 0.752
Sc: 0.500 0.000 0.000
Sc: 0.500 0.500 0.500
Cd: 0.000 0.000 0.500
Cd: 0.000 0.500 0.000
O: 0.158 0.188 0.949
O: 0.158 0.312 0.449
O: 0.256 0.712 0.942
O: 0.256 0.788 0.442
O: 0.365 0.044 0.761
O: 0.365 0.456 0.261
O: 0.635 0.544 0.739
O: 0.635 0.956 0.239
O: 0.744 0.212 0.558
O: 0.744 0.288 0.058
O: 0.842 0.688 0.551
O: 0.842 0.812 0.051

Properties
* raw total energy: -144.8 eV for the cell shown
* size of the total moment: 2.014 μB/cell
* formation energy without anion corrections: -2.72 eV per atom
* volume: 15.1 A^3/atom

=====

The following is a DFT calculation (PBE) of a relaxed structure of Ac2CdSeO8.

a b c (Å): 5.608 5.608 6.375
angles (deg): 90.00 90.00 120.00
Element x y z (fractional)
Ac: 0.333 0.667 0.335
Ac: 0.667 0.333 0.665
Cd: 0.000 0.000 0.000
Se: 0.000 0.000 0.500
O: 0.153 0.305 0.667
O: 0.153 0.847 0.667
O: 0.305 0.153 0.333
O: 0.333 0.667 0.998
O: 0.667 0.333 0.002
>>>

Amazon Info

2. Eligibility requirements

  • You can only add the promotion for listings on and marketplaces.
  • Title has been enrolled in KDP Select for at least 30 days.*
  • Prices of eligible titles for Kindle Countdown Deals should fall within these limits:
    • $2.99 – $24.99 (
    • £1.99 – £15.99 (, including VAT)
    • Digital list price is unchanged for 30 days before or 14 days after your Kindle Countdown Deal runs.
    • Maximum number of price increments is 5.
  • Minimum discounts are:
    • $1.00 USD on
    • £1.00 on
  • The duration of a Kindle Countdown Deal is:
    • Maximum: 7 days.
    • Minimum duration is 1 hour.
    • Duration you choose will run as a single promotion (you cannot split into multiple durations).
    • Kindle Countdown Deals must be scheduled 24 hours before your desired start date, as far in advance as you want. For example, to begin a promotion on January 10, you can schedule it any time before January 8.
  • You can run either a free promotion or a Kindle Countdown Deal.
  • Kindle Countdown Deals are limited to one per KDP Select term. The latest end time for your Kindle Countdown Deals promotion is 14 days before your KDP Select period ends. If you renew your eBook in KDP Select for another consecutive 90-day period, the latest end time for your Kindle Countdown Deal can fall on the last day of your current KDP Select period.

Note: If your book is enrolled in KDP Select, the digital format must be exclusive to Amazon during the entire enrollment period. When a book is determined not exclusive to Amazon, any scheduled Kindle Countdown Deal will be cancelled.

Your book has a list price of $4.99, and you start a promotion on Monday at 8 A.M. your time with a starting price of $1.99. You set three price increments to run 24 hours each.

  • Thursday @8:00 AM. Price Discounted to $1.99 for 24 hours
  • Friday @8:00 AM. Promotional Price Increases to $2.99 for 24 hours
  • Saturday @8:00 AM. Promotional Price Increases to $3.99 for 24 hours
  • Sunday @8:00 AM. Price Returns to Original List Price of $4.99

During each promotional day, your book’s detail page will display a counter announcing the promotion, the current price, the time remaining until the price changes, and the next price.